We’re mid-way through 2015, providing a positive customer experience begins far before buyers reach your site and can learn about your products. With social and search, buyers are doing a great deal of research prior to landing on your company’s website. Therefore, you have to think beyond your website for opportunities to reach and interact with buyers before they start narrowing their decisions of where to buy.

What goes into providing a positive customer experience with social media, and your website with little or no direct interaction with buyers?

Provide value on social media

Be available where they are

Make sure your company is active on social media sites where your ideal buyers are spending their time. That way, when they start their research process you will already be a part of the consideration stage.

Provide useful tips and blogs

# Data records from another source follow
____________
1.
GdPtF7: single point on PBEsol structure, meta-GGA SCAN.

Cell: 8.889 5.483 11.947 Å, 90.00 117.96 90.00°
Positions (direct):
Gd  0.187  0.239  0.264
Gd  0.187  0.261  0.764
Gd  0.813  0.739  0.236
Gd  0.813  0.761  0.736
Pt  0.272  0.743  0.043
Pt  0.272  0.757  0.543
Pt  0.728  0.243  0.457
Pt  0.728  0.257  0.957
F  0.026  0.745  0.950
F  0.026  0.755  0.450
F  0.034  0.596  0.731
F  0.034  0.904  0.231
F  0.256  0.559  0.175
F  0.256  0.941  0.675
F  0.274  0.040  0.132
F  0.274  0.460  0.632
F  0.279  0.059  0.460
F  0.279  0.441  0.960
F  0.294  0.566  0.414
F  0.294  0.934  0.914
F  0.481  0.230  0.360
F  0.481  0.270  0.860
F  0.519  0.730  0.140
F  0.519  0.770  0.640
F  0.706  0.066  0.086
F  0.706  0.434  0.586
F  0.721  0.559  0.040
F  0.721  0.941  0.540
F  0.726  0.540  0.368
F  0.726  0.960  0.868
F  0.744  0.059  0.325
F  0.744  0.441  0.825
F  0.966  0.096  0.769
F  0.966  0.404  0.269
F  0.974  0.245  0.550
F  0.974  0.255  0.050

Summary:
**Symmetry**: P2_1/c
**Total energy**: -19.842 eV/atom
**Calculated volume**: 514 Å³ per cell
**D(E_F)**: 0.000 states/eV/f.u.
**Uncorrected formation energy**: -24.78 eV per formula unit

=====

2.
GdSnF7: single point on PBEsol structure, meta-GGA SCAN.

Cell: 8.979 5.617 12.084 Å, 90.00 117.79 90.00°
Positions (direct):
Gd  0.187  0.242  0.265
Gd  0.187  0.258  0.765
Gd  0.813  0.742  0.235
Gd  0.813  0.758  0.735
Sn  0.272  0.744  0.043
Sn  0.272  0.756  0.543
Sn  0.728  0.244  0.457
Sn  0.728  0.256  0.957
F  0.024  0.741  0.946
F  0.024  0.759  0.446
F  0.033  0.587  0.733
F  0.033  0.913  0.233
F  0.256  0.547  0.173
F  0.256  0.953  0.673
F  0.271  0.026  0.141
F  0.271  0.474  0.641
F  0.281  0.053  0.456
F  0.281  0.447  0.956
F  0.291  0.550  0.417
F  0.291  0.950  0.917
F  0.480  0.228  0.360
F  0.480  0.272  0.860
F  0.520  0.728  0.140
F  0.520  0.772  0.640
F  0.709  0.050  0.083
F  0.709  0.450  0.583
F  0.719  0.553  0.044
F  0.719  0.947  0.544
F  0.729  0.526  0.359
F  0.729  0.974  0.859
F  0.744  0.047  0.327
F  0.744  0.453  0.827
F  0.967  0.087  0.767
F  0.967  0.413  0.267
F  0.976  0.241  0.554
F  0.976  0.259  0.054

Summary:
**Symmetry**: P2_1/c
**Total energy**: -16.654 eV/atom
**Calculated volume**: 539 Å³ per cell
**D(E_F)**: 0.000 states/eV/f.u.
**Uncorrected formation energy**: -30.37 eV per formula unit

=====

3.
Ge5F12: single point on PBEsol structure, meta-GGA SCAN.

Cell: 8.307 7.544 7.910 Å, 90.00 92.53 90.00°
Positions (direct):
Ge  0.000  0.000  0.000
Ge  0.000  0.500  0.500
Ge  0.202  0.055  0.623
Ge  0.202  0.445  0.123
Ge  0.401  0.624  0.685
Ge  0.401  0.876  0.185
Ge  0.599  0.124  0.815
Ge  0.599  0.376  0.315
Ge  0.798  0.555  0.877
Ge  0.798  0.945  0.377
F  0.039  0.146  0.173
F  0.039  0.354  0.673
F  0.145  0.658  0.594
F  0.145  0.842  0.094
F  0.165  0.107  0.888
F  0.165  0.393  0.388
F  0.326  0.553  0.890
F  0.326  0.947  0.390
F  0.351  0.626  0.236
F  0.351  0.874  0.736
F  0.380  0.206  0.659
F  0.380  0.294  0.159
____________

One way you can attract interested buyers is to provide information that is unique and of value about your industry. Use content as an opportunity to capture their attention by providing useful tips or educational information through blogs to captive. 

"Strive not to be a success, but rather to be of value." -- Albert Einstein

Interact with customer inquiries

Conduct live Twitter chats or inquiries on Facebook. Hosting a discussion about industry standards on Google+. Use these as a way to build your community and trust for your brand.

Keep your website simple

Make your site easy to navigate

Limit your navigation to only the essential items deemed necessary. This will make it easier to buyers to find what they are looking for particularly since many are now conducting their research via mobile.

In stores, 82% of smartphone users turn to their devices to help them make a product decision.(1) 

When arriving to your website, refrain from forcing buyers to sort through pop-ups, lengthy scrolling, or interpret your nomenclature for locating content. Give them what they are looking for right away.

The average attentions span of a human being is 8 seconds.(2)

Keep your web pages free from an overabundance of text. With short attention spans keep your content focused on your main message, and highlighting benefits. For those who want great detail, send them to another page that gives them the nuts and bolts of your product.

Be available for customer care

Customers are seeking customer support via social. (Another important reason why to be present where your buyers and customers are), therefore, having someone who can respond as quickly as possible to resolve the situation will help build credibility.

Among respondents to The Social Habit who have ever attempted to contact a brand, product, or company through social media for customer support, 32% expect a response within 30 minutes.

For conflicts, request direct interaction from the user to remove the details from general view. Resolve the conflict then post a resolution note. Why not be transparent? Sometimes resolution is a simple fix and can make the responder look foolish. Other times, responders can get pretty conversational until you find the path to resolution. Stay upbeat to ensure the end result is a positive customer experience.

Customers may forget what you said but they'll never forget how you made them feel." – Unknown

Make a positive customer experience your number one goal. Do this by making it easy for buyers to find the content they are looking for and worth their time to read. This will build trust and loyalty, and you might just capture a customer.


1 Google/Ipsos, “Consumers in the Micro-Moment” study, March 2015

2 National Center for Biotechnology Information
